Assignment:
Your job: retype the lines underneath up to the one that holds "12.691", that line included.

Material:
9
Lattice="5.212 0.000 0.000 0.000 5.212 0.000 0.000 0.000 10.223" Properties=species:S:1:pos:R:3 comment="Sr5Bi2N2 (PBE, optimized geometry)" crystal_system=tetragonal pbc="T T T"
Sr 0.000 0.000 0.000
Sr 0.000 2.606 2.850
Sr 0.000 2.606 7.373
Sr 2.606 0.000 2.850
Sr 2.606 0.000 7.373
Bi 2.606 2.606 0.000
Bi 2.606 2.606 5.111
N 0.000 0.000 2.390
N 0.000 0.000 7.833


5
Lattice="5.260 0.000 0.000 0.000 5.260 0.000 0.000 0.000 5.260" Properties=species:S:1:pos:R:3 comment="Sr3BiN (PBE, optimized geometry)" crystal_system=cubic pbc="T T T"
Sr 0.000 0.000 2.630
Sr 0.000 2.630 0.000
Sr 2.630 0.000 0.000
Bi 2.630 2.630 2.630
N 0.000 0.000 0.000


19
Lattice="7.102 4.101 4.522 -7.102 4.101 4.522 0.000 -8.201 4.522" Properties=species:S:1:pos:R:3 comment="Sr12Bi6N (PBE, optimized geometry)" crystal_system=trigonal pbc="T T T"
Sr -6.581 -1.893 7.519
Sr -1.652 -6.646 6.048
Sr -2.714 -0.435 5.375
Sr -4.930 4.753 6.048
Sr -0.981 -2.568 8.192
Sr 1.734 -2.133 5.375
Sr -1.734 2.133 8.192
Sr 0.981 2.568 5.375
Sr 4.930 -4.753 7.519
Sr 2.714 0.435 8.192
Sr 1.652 6.646 7.519
Sr 6.581 1.893 6.048
Bi -1.221 -3.487 4.771
Bi -2.409 2.801 4.771
Bi -3.630 -0.686 8.796
Bi 3.630 0.686 4.771
Bi 2.409 -2.801 8.796
Bi 1.221 3.487 8.796
N 0.000 0.000 0.000


14
Lattice="1.967 -6.786 0.000 1.967 6.786 0.000 0.000 0.000 13.998" Properties=species:S:1:pos:R:3 comment="Sr4BiN2 (PBE, optimized geometry)" crystal_system=orthorhombic pbc="T T T"
Sr 0.000 0.000 0.000
Sr 0.000 0.000 6.999
Sr 1.967 3.241 8.306
Sr 1.967 3.241 12.691
Sr 1.967 1.218 3.499
Sr 1.967 -1.218 10.498
Sr 1.967 -3.241 1.307
Sr 1.967 -3.241 5.692
Bi 1.967 5.312 3.499
Bi 1.967 -5.312 10.498
N 1.967 1.898 0.918
N 1.967 1.898 6.081
N 1.967 -1.898 7.917
N 1.967 -1.898 13.079


14
Lattice="3.647 -8.544 0.000 3.647 8.544 0.000 0.000 0.000 7.298" Properties=species:S:1:pos:R:3 comment="Sr4BiTeN (PBE, optimized geometry)" crystal_system=orthorhombic pbc="T T T"
Sr 1.824 4.272 0.000
Sr 1.824 4.272 3.649
Sr 3.647 6.988 5.473
Sr 3.647 1.615 5.473
Sr 1.824 -4.272 0.000
Sr 1.824 -4.272 3.649
Sr 3.647 -1.615 1.824
Sr 3.647 -6.988 1.824
Bi 3.647 6.699 1.824
Bi 3.647 -6.699 5.473

Done:
9
Lattice="5.212 0.000 0.000 0.000 5.212 0.000 0.000 0.000 10.223" Properties=species:S:1:pos:R:3 comment="Sr5Bi2N2 (PBE, optimized geometry)" crystal_system=tetragonal pbc="T T T"
Sr 0.000 0.000 0.000
Sr 0.000 2.606 2.850
Sr 0.000 2.606 7.373
Sr 2.606 0.000 2.850
Sr 2.606 0.000 7.373
Bi 2.606 2.606 0.000
Bi 2.606 2.606 5.111
N 0.000 0.000 2.390
N 0.000 0.000 7.833


5
Lattice="5.260 0.000 0.000 0.000 5.260 0.000 0.000 0.000 5.260" Properties=species:S:1:pos:R:3 comment="Sr3BiN (PBE, optimized geometry)" crystal_system=cubic pbc="T T T"
Sr 0.000 0.000 2.630
Sr 0.000 2.630 0.000
Sr 2.630 0.000 0.000
Bi 2.630 2.630 2.630
N 0.000 0.000 0.000


19
Lattice="7.102 4.101 4.522 -7.102 4.101 4.522 0.000 -8.201 4.522" Properties=species:S:1:pos:R:3 comment="Sr12Bi6N (PBE, optimized geometry)" crystal_system=trigonal pbc="T T T"
Sr -6.581 -1.893 7.519
Sr -1.652 -6.646 6.048
Sr -2.714 -0.435 5.375
Sr -4.930 4.753 6.048
Sr -0.981 -2.568 8.192
Sr 1.734 -2.133 5.375
Sr -1.734 2.133 8.192
Sr 0.981 2.568 5.375
Sr 4.930 -4.753 7.519
Sr 2.714 0.435 8.192
Sr 1.652 6.646 7.519
Sr 6.581 1.893 6.048
Bi -1.221 -3.487 4.771
Bi -2.409 2.801 4.771
Bi -3.630 -0.686 8.796
Bi 3.630 0.686 4.771
Bi 2.409 -2.801 8.796
Bi 1.221 3.487 8.796
N 0.000 0.000 0.000


14
Lattice="1.967 -6.786 0.000 1.967 6.786 0.000 0.000 0.000 13.998" Properties=species:S:1:pos:R:3 comment="Sr4BiN2 (PBE, optimized geometry)" crystal_system=orthorhombic pbc="T T T"
Sr 0.000 0.000 0.000
Sr 0.000 0.000 6.999
Sr 1.967 3.241 8.306
Sr 1.967 3.241 12.691